Source:
<<<
For LaMnRuN, DFT lattice parameters and positions (GGA-PBE) gives the computed powder X-ray diffraction pattern in this record (CuKα).

Largest 10 diffraction maxima, low angle first, 2θ from 10° to 90°:
d = 3.599 Å, 2θ 24.74, I = 248; d = 2.846 Å, 2θ 31.44, I = 442; d = 2.758 Å, 2θ 32.46, I = 1000; d = 2.561 Å, 2θ 35.04, I = 310; d = 2.543 Å, 2θ 35.29, I = 416; d = 2.437 Å, 2θ 36.89, I = 280; d = 2.088 Å, 2θ 43.33, I = 552; d = 2.038 Å, 2θ 44.44, I = 255; d = 1.888 Å, 2θ 48.20, I = 164; d = 1.555 Å, 2θ 59.42, I = 205

Cell and atoms:
a b c (Å): 4.454 4.454 5.273
angles (deg): 102.72 102.72 44.12
Positions (direct):
La 0.000 0.000 0.000
Mn 0.359 0.359 0.475
Ru 0.653 0.653 0.594
N 0.269 0.269 0.779
>>>

To do:
It remains to repeat everything above without altering anything.

Worked solution:
For LaMnRuN, DFT lattice parameters and positions (GGA-PBE) gives the computed powder X-ray diffraction pattern in this record (CuKα).

Largest 10 diffraction maxima, low angle first, 2θ from 10° to 90°:
d = 3.599 Å, 2θ 24.74, I = 248; d = 2.846 Å, 2θ 31.44, I = 442; d = 2.758 Å, 2θ 32.46, I = 1000; d = 2.561 Å, 2θ 35.04, I = 310; d = 2.543 Å, 2θ 35.29, I = 416; d = 2.437 Å, 2θ 36.89, I = 280; d = 2.088 Å, 2θ 43.33, I = 552; d = 2.038 Å, 2θ 44.44, I = 255; d = 1.888 Å, 2θ 48.20, I = 164; d = 1.555 Å, 2θ 59.42, I = 205

Cell and atoms:
a b c (Å): 4.454 4.454 5.273
angles (deg): 102.72 102.72 44.12
Positions (direct):
La 0.000 0.000 0.000
Mn 0.359 0.359 0.475
Ru 0.653 0.653 0.594
N 0.269 0.269 0.779